

A. ■betreatedwithcourtesyandrespect;■havetheirprivacyprotected;■receiveapromptandreasonableresponsetoquestionsandrequests;
B. ■knowwhoisprovidingmedicalservicesandwhoisresponsibleforhisorhercare;■knowwhatpatientsupportservicesareavailable,includinginterpreterservices;■knowtherulesandregulationsapplyingtopatientconduct;
C. ■receiveinformationaboutdiagnosis,plannedcourseoftreatment,alternatives,risksandprognosis;■refuseanytreatment,exceptasotherwiseprovidedbylaw;■begivenfullinformationandnecessarycounsellingontheavailabilityoffinancialresourcesforpatientcare;■receiveareasonableestimateofthechargesformedicalcarepriortotreatment;
D. ■haveimpartialaccesstomedicaltreatmentoraccommodations,regardlessofrace,nationalorigin,religion,physicalhandicap,orsourceofpayment;■receivetreatmentforanyemergencymedicalconditionthatwilldeterioratefromfailuretoprovidetreatment;■haveaccesstoanymedicaltreatmentthatis,inthejudgementofthepatientandhisorherhealthcarepractitioner,inthepatient'sbestinterests;■knowifmedicaltreatmentisforpurposesofexperimentalresearchandtoconsenttoorrefusetoparticipateinsuchresearch;■expressgrievancesaboutanyviolationofthepatient'srights.



A. ■givinghealthcareprovidersaccurateandcompleteinformationabouttheirhealth;■reportingunexpectedchangesintheircondition;
B. ■indicatingwhethertheyunderstandacontemplatedcourseofaction;■followingthetreatmentplanrecommendedbythehealthcareprovider;
C. ■keepingappointmentsandnotifyingthehealthcareproviderorhealthcarefacilityifunabletodoso;■assuringpromptpaymentofmedicalbills;
D. ■followinghealthcarefacilityrulesandregulationsaffectingpatientcareandconduct.

# These crystal structures were left in the text by mistake
Record 1
Here is an optimized crystal structure of ZrTa2TiC4 from Alexandria via LeMat-Bulk. Energies are from PBE-GGA.

The formation enthalpy at 0 K comes out at -716 meV/atom.

Cell: 5.5221 3.1825 5.5409 Å, 90.00 109.48 90.00°
Last column: nearest neighbours and their distance in Å.
Space group P2/m (No. 10)
One atom of each set of equivalent atoms:
Zr  0.0000  0.0000  0.0000 (multiplicity 1)  6 C 2.30
Ta  0.0000  0.5000  0.5000 (multiplicity 1)  6 C 2.26
Ta  0.5000  0.0000  0.5000 (multiplicity 1)  6 C 2.21-2.22
Ti  0.5000  0.5000  0.0000 (multiplicity 1)  6 C 2.25-2.26
C  0.2554  0.0000  0.7463 (multiplicity 2)  3 Ta 2.22-2.26, 2 Ti 2.25, 1 Zr 2.30
C  0.2601  0.5000  0.2593 (multiplicity 2)  3 Ta 2.21-2.26, 1 Ti 2.26, 2 Zr 2.30


Record 2
Here is an optimized crystal structure of Sc2MnW from Alexandria via LeMat-Bulk. Energies are from PBE-GGA.

The formation enthalpy at 0 K comes out at 46 meV/atom. The energy relative to the lowest polymorph listed for this composition comes out at 0.00 eV/f.u.

Cell: 3.0627 3.0627 7.7495 Å, 90.00 90.00 90.00°
Last column: nearest neighbours and their distance in Å.
Space group P4mm (No. 99)
One atom of each set of equivalent atoms:
Sc  0.0000  0.0000  0.0000 (multiplicity 1)  4 Mn 2.75, 1 W 3.03, 4 Sc 3.06
Sc  0.5000  0.5000  0.3559 (multiplicity 1)  4 W 2.92, 4 Sc 3.06
Mn  0.5000  0.5000  0.7808 (multiplicity 1)  4 W 2.54, 4 Sc 2.75
W  0.0000  0.0000  0.6086 (multiplicity 1)  4 Mn 2.54


Record 3
Here is an optimized crystal structure of CaNiRu from Alexandria via LeMat-Bulk. Energies are from PBE-GGA.

The formation enthalpy at 0 K comes out at 216 meV/atom. The energy relative to the lowest polymorph listed for this composition comes out at 0.83 eV/f.u.

Cell: 4.0273 4.0273 4.3146 Å, 90.00 90.00 120.00°
Last column: nearest neighbours and their distance in Å.
Space group P-6m2 (No. 187)
One atom of each set of equivalent atoms:
Ca  0.0000  0.0000  0.0000 (multiplicity 1)  6 Ru 3.17, 6 Ni 3.17
Ni  0.6667  0.3333  0.5000 (multiplicity 1)  3 Ru 2.33
Ru  0.3333  0.6667  0.5000 (multiplicity 1)  3 Ni 2.33


Entry 1:
CePu2Al2Ge2 | Alexandria via LeMat-Bulk | PBE-GGA | optimized geometry; total DFT energy (no corrections) = -7.51 eV per atom; DOS(E_F) = 12.362 states/eV/f.u.; formation energy from the elements = -0.179 eV/atom; magnetization = 6.34 μB/f.u.
1.0
4.2196 0.0000 0.0000
2.1098 3.6543 0.0000
2.1098 1.2181 9.3075
Ce Pu Al Ge
1 2 2 2
Cartesian
0.0000 0.0000 0.0000 Ce
2.1098 1.2181 4.8564 Pu
6.3294 3.6543 4.4510 Pu
4.2196 2.4362 2.5688 Al
4.2196 2.4362 6.7387 Al
6.3294 3.6543 7.5068 Ge
2.1098 1.2181 1.8007 Ge

Entry 2:
Ce2AlGeRh6 | Alexandria via LeMat-Bulk | PBE-GGA | optimized geometry; total DFT energy (no corrections) = -6.80 eV per atom; DOS(E_F) = 11.799 states/eV/f.u.; formation energy from the elements = -0.371 eV/atom; magnetization = 1.23 μB/f.u.
1.0
6.4537 -0.0001 -0.0018
-0.0001 6.4559 -0.0017
3.2255 3.2268 4.5632
Ce Al Ge Rh
2 1 1 6
Cartesian
6.4531 3.2273 2.2784 Ce

Canada's Patients' Bill of Rights passed in 2001 declared that the patients have the following rights:

A. a. The right to be fully informed about one’s medical condition;b. The right to be advised of the available treatment options;c. The right to be involved in treatment decisions;
B. d. The right to information on the qualifications and experience of the health professionals from whom services are received;e. The right to receive considerate, compassionate and respectful public health services;f. The right to confidential communications with health professionals;
C. g. The right to have access to and copies of personal health records and to have them corrected, if necessary;h. The right to have health records kept confidential and not used for any purpose other than public health services without written consent;
D. i. The right to designate a person to exercise rights on the patient’s behalf if the patient is not able to do so because of a physical or mental incapacity; andj. The right to be informed of all rights and responsibilities under the bill and under other laws of Canada or a province with respect to public health services.

European Charter of Patients' Rights passed in 2002 declares that:

A. Every individual has the right to a proper service in order to prevent illness.
B. Every individual has the right of access to the health services that his or her health needs require. The health services must guarantee equal access to everyone, without discriminating on the basis of financial resources, place of residence, kind of illness or time of access to services.
C. Every individual has the right to access to all kind of information regarding their state of health, the health services and how to use them, and all that scientific research and technological innovation makes available.
D. Every individual has the right of access to all information that might enable him or her to actively participate in the decisions regarding his or her health; this information is a prerequisite for any procedure and treatment, including the participation in scientific research.


A. Each individual has the right to freely choose from among different treatment procedures and providers on the basis of adequate information.
B. Every individual has the right to the confidentiality of personal information, including information regarding his or her state of health and potential diagnostic or therapeutic procedures, as well as the protection of his or her privacy during the performance of diagnostic exams, specialist visits, and medical/surgical treatments in general.
C. Each individual has the right to receive necessary treatment within a swift and predetermined period of time. This right applies at each phase of the treatment.
D. Each individual has the right of access to high quality health services on the basis of the specification and observance of precise standards.
